Print all of the data further below word for word.

/*
The following is a PBE with a Hubbard U calculation of a geometry-optimized LiHfMnO4 structure, from Alexandria via LeMat-Bulk.

Properties
- Raw total energy: -7.929 eV per atom
- Theoretical density: 6.3 g cm⁻³

abc: 6.0872 6.0872 6.0872
angles: 121.24 117.22 91.37
Fractional positions:
Li (0.3716, 0.1216, 0.2500)
Li (0.6284, 0.8784, 0.7500)
Hf (0.0000, 0.5000, 0.5000)
Hf (0.5000, 0.5000, 0.0000)
Mn (0.0000, 0.0000, 0.5000)
Mn (0.0000, 0.5000, 0.0000)
O (0.2073, 0.7444, 0.4629)
O (0.2186, 0.2556, 0.9629)
O (0.2410, 0.2630, 0.5221)
O (0.2410, 0.7189, 0.9779)
O (0.7590, 0.2811, 0.0221)
O (0.7590, 0.7370, 0.4779)
O (0.7814, 0.7444, 0.0371)
O (0.7927, 0.2556, 0.5371)

~~~~~

1.
Material: CaFeSiO5
Method: DFT, GGA-PBEsol
State: optimized geometry

```
CaFeSiO5
1.0
5.341 0.032 -0.018
-1.496 5.127 -0.018
-1.660 -2.228 6.204
O Ca Si Fe
10 2 2 2
Direct
0.758 0.625 0.916
0.242 0.375 0.084
0.375 0.242 0.584
0.064 0.936 0.750
0.625 0.758 0.416
0.896 0.310 0.609
0.310 0.896 0.109
0.690 0.104 0.891
0.104 0.690 0.391
0.936 0.064 0.250
0.669 0.331 0.250
0.331 0.669 0.750
0.313 0.687 0.250
0.687 0.313 0.750
0.000 0.000 0.500
0.000 0.000 0.000
```

Output
- formation energy (no corrections) (eV/atom) = -2.330
- M_tot (μB/atom) = 0.25
- SG = C2/c, No. 15
- DFT total energy (eV/f.u.) = -61.73

---

2.
Material: ZrGa3Au
Method: DFT, GGA-PBEsol
State: optimized geometry

```
ZrGa3Au
1.0
-2.102 2.071 4.145
-1.898 -4.537 1.305
4.227 -1.007 2.646
Ga Au Zr
3 1 1
Direct
0.000 0.000 0.500
0.500 0.000 0.000
0.000 0.500 0.000
0.500 0.500 0.500
0.000 0.000 0.000
```

Output
- M_tot (μB/atom) = 0.00
- SG = Pm-3m, No. 221
- DFT total energy (eV/f.u.) = -18.61
- DFT formation energy (eV/atom) = 0.885

---

3.
Material: KH5O3
Method: DFT, GGA-PBEsol
State: optimized geometry

```
KH5O3
1.0
7.056 -0.068 0.088
0.006 7.056 0.088
3.430 3.394 6.808
K H O
4 20 12
Direct
0.507 0.754 0.744
0.751 0.499 0.244
0.501 0.249 0.756
0.246 0.493 0.256
0.419 0.757 0.396
0.068 0.224 0.100
0.549 0.243 0.085
0.012 0.713 0.749
0.790 0.990 0.246
0.924 0.582 0.601
0.776 0.932 0.900
0.092 0.447 0.915
0.884 0.079 0.414
0.921 0.116 0.586
0.287 0.988 0.251
0.887 0.744 0.415
0.010 0.210 0.754
0.067 0.902 0.104
0.243 0.581 0.604
0.553 0.908 0.085
0.418 0.076 0.399
0.256 0.113 0.585
0.757 0.451 0.915
0.098 0.933 0.896
0.596 0.404 0.000
0.625 0.842 0.993
0.016 0.079 0.740
0.158 0.375 0.007
0.846 0.154 0.500
0.396 0.604 0.500
0.866 0.586 0.507
0.431 0.995 0.239
0.147 0.853 0.000
0.921 0.984 0.260
0.414 0.134 0.493
0.005 0.569 0.761
```

Output
- M_tot (μB/atom) = 0.00
- SG = C2, No. 5
- DFT total energy (eV/f.u.) = -44.18

---

4.
Material: RbTl2Hg2
Method: DFT, GGA-PBEsol
State: optimized geometry

```
RbTl2Hg2
1.0
3.471 0.000 0.000
0.000 9.209 0.000
0.000 0.000 9.209
Rb Tl Hg
2 4 4
Direct
0.000 0.500 0.500
0.000 0.000 0.000
0.000 0.868 0.632
0.000 0.368 0.868
0.000 0.132 0.368
0.000 0.632 0.132
0.500 0.161 0.661
0.500 0.339 0.161
0.500 0.839 0.339
0.500 0.661 0.839
```

Output
- M_tot (μB/atom) = 0.00
- SG = P4/mbm, No. 127
- DFT total energy (eV/f.u.) = -7.91
- DFT formation energy (eV/atom) = -0.098

---

5.
Material: BeInSb2
Method: DFT, GGA-PBEsol
State: optimized geometry

```
BeInSb2
1.0
-3.567 1.391 -1.459
-1.693 -3.676 0.635
1.179 2.676 5.423
Sb Be In
2 1 1
Direct
0.000 0.000 0.000
0.750 0.250 0.500
0.500 0.500 0.000
0.250 0.750 0.500
```

Output
- formation energy (no corrections) (eV/atom) = 0.505
- M_tot (μB/atom) = 0.00
- SG = I-4m2, No. 119
- DFT total energy (eV/f.u.) = -14.08

---

6.
Material: TmMg5
Method: DFT, GGA-PBEsol
State: optimized geometry

```
TmMg5
1.0
-1.272 1.748 -2.383
-0.319 -3.202 -0.007
-13.493 1.325 8.175
Mg Tm
5 1
Direct
0.333 0.667 0.838
0.000 0.000 0.325
0.333 0.667 0.162
0.000 0.000 0.675
0.000 0.000 0.000
0.333 0.667 0.500
```

Output
- M_tot (μB/atom) = 0.00
- SG = P-6m2, No. 187
- DFT total energy (eV/f.u.) = -13.44
- DFT formation energy (eV/atom) = 0.008

---

7.
Material: Sb2TeSeBr
Method: DFT, GGA-PBEsol
State: optimized geometry

```
Sb2TeSeBr
*/

The following is a PBE with a Hubbard U calculation of a geometry-optimized LiHfMnO4 structure, from Alexandria via LeMat-Bulk.

Properties
- Raw total energy: -7.929 eV per atom
- Theoretical density: 6.3 g cm⁻³

abc: 6.0872 6.0872 6.0872
angles: 121.24 117.22 91.37
Fractional positions:
Li (0.3716, 0.1216, 0.2500)
Li (0.6284, 0.8784, 0.7500)
Hf (0.0000, 0.5000, 0.5000)
Hf (0.5000, 0.5000, 0.0000)
Mn (0.0000, 0.0000, 0.5000)
Mn (0.0000, 0.5000, 0.0000)
O (0.2073, 0.7444, 0.4629)
O (0.2186, 0.2556, 0.9629)
O (0.2410, 0.2630, 0.5221)
O (0.2410, 0.7189, 0.9779)
O (0.7590, 0.2811, 0.0221)
O (0.7590, 0.7370, 0.4779)
O (0.7814, 0.7444, 0.0371)
O (0.7927, 0.2556, 0.5371)

~~~~~

1.
Material: CaFeSiO5
Method: DFT, GGA-PBEsol
State: optimized geometry

```
CaFeSiO5
1.0
5.341 0.032 -0.018
-1.496 5.127 -0.018
-1.660 -2.228 6.204
O Ca Si Fe
10 2 2 2
Direct
0.758 0.625 0.916
0.242 0.375 0.084
0.375 0.242 0.584
0.064 0.936 0.750
0.625 0.758 0.416
0.896 0.310 0.609
0.310 0.896 0.109
0.690 0.104 0.891
0.104 0.690 0.391
0.936 0.064 0.250
0.669 0.331 0.250
0.331 0.669 0.750
0.313 0.687 0.250
0.687 0.313 0.750
0.000 0.000 0.500
0.000 0.000 0.000
```

Output
- formation energy (no corrections) (eV/atom) = -2.330
- M_tot (μB/atom) = 0.25
- SG = C2/c, No. 15
- DFT total energy (eV/f.u.) = -61.73

---

2.
Material: ZrGa3Au
Method: DFT, GGA-PBEsol
State: optimized geometry

```
ZrGa3Au
1.0
-2.102 2.071 4.145
-1.898 -4.537 1.305
4.227 -1.007 2.646
Ga Au Zr
3 1 1
Direct
0.000 0.000 0.500
0.500 0.000 0.000
0.000 0.500 0.000
0.500 0.500 0.500
0.000 0.000 0.000
```

Output
- M_tot (μB/atom) = 0.00
- SG = Pm-3m, No. 221
- DFT total energy (eV/f.u.) = -18.61
- DFT formation energy (eV/atom) = 0.885

---

3.
Material: KH5O3
Method: DFT, GGA-PBEsol
State: optimized geometry

```
KH5O3
1.0
7.056 -0.068 0.088
0.006 7.056 0.088
3.430 3.394 6.808
K H O
4 20 12
Direct
0.507 0.754 0.744
0.751 0.499 0.244
0.501 0.249 0.756
0.246 0.493 0.256
0.419 0.757 0.396
0.068 0.224 0.100
0.549 0.243 0.085
0.012 0.713 0.749
0.790 0.990 0.246
0.924 0.582 0.601
0.776 0.932 0.900
0.092 0.447 0.915
0.884 0.079 0.414
0.921 0.116 0.586
0.287 0.988 0.251
0.887 0.744 0.415
0.010 0.210 0.754
0.067 0.902 0.104
0.243 0.581 0.604
0.553 0.908 0.085
0.418 0.076 0.399
0.256 0.113 0.585
0.757 0.451 0.915
0.098 0.933 0.896
0.596 0.404 0.000
0.625 0.842 0.993
0.016 0.079 0.740
0.158 0.375 0.007
0.846 0.154 0.500
0.396 0.604 0.500
0.866 0.586 0.507
0.431 0.995 0.239
0.147 0.853 0.000
0.921 0.984 0.260
0.414 0.134 0.493
0.005 0.569 0.761
```

Output
- M_tot (μB/atom) = 0.00
- SG = C2, No. 5
- DFT total energy (eV/f.u.) = -44.18

---

4.
Material: RbTl2Hg2
Method: DFT, GGA-PBEsol
State: optimized geometry

```
RbTl2Hg2
1.0
3.471 0.000 0.000
0.000 9.209 0.000
0.000 0.000 9.209
Rb Tl Hg
2 4 4
Direct
0.000 0.500 0.500
0.000 0.000 0.000
0.000 0.868 0.632
0.000 0.368 0.868
0.000 0.132 0.368
0.000 0.632 0.132
0.500 0.161 0.661
0.500 0.339 0.161
0.500 0.839 0.339
0.500 0.661 0.839
```

Output
- M_tot (μB/atom) = 0.00
- SG = P4/mbm, No. 127
- DFT total energy (eV/f.u.) = -7.91
- DFT formation energy (eV/atom) = -0.098

---

5.
Material: BeInSb2
Method: DFT, GGA-PBEsol
State: optimized geometry

```
BeInSb2
1.0
-3.567 1.391 -1.459
-1.693 -3.676 0.635
1.179 2.676 5.423
Sb Be In
2 1 1
Direct
0.000 0.000 0.000
0.750 0.250 0.500
0.500 0.500 0.000
0.250 0.750 0.500
```

Output
- formation energy (no corrections) (eV/atom) = 0.505
- M_tot (μB/atom) = 0.00
- SG = I-4m2, No. 119
- DFT total energy (eV/f.u.) = -14.08

---

6.
Material: TmMg5
Method: DFT, GGA-PBEsol
State: optimized geometry

```
TmMg5
1.0
-1.272 1.748 -2.383
-0.319 -3.202 -0.007
-13.493 1.325 8.175
Mg Tm
5 1
Direct
0.333 0.667 0.838
0.000 0.000 0.325
0.333 0.667 0.162
0.000 0.000 0.675
0.000 0.000 0.000
0.333 0.667 0.500
```

Output
- M_tot (μB/atom) = 0.00
- SG = P-6m2, No. 187
- DFT total energy (eV/f.u.) = -13.44
- DFT formation energy (eV/atom) = 0.008

---

7.
Material: Sb2TeSeBr
Method: DFT, GGA-PBEsol
State: optimized geometry

```
Sb2TeSeBr